### Excerpt
No. 1
63
Properties=species:S:1:pos:R:3:nbo_charge:R:1 method="wB97M-V/def2-TZVPD" e_above_lowest_kj_mol=513.4 homo_energy_ha=-0.174 lumo_energy_ha=-0.0930
C -0.608 -2.528 3.734 -0.25
O 0.269 -1.843 2.867 -0.54
C 0.165 -0.460 2.847 -0.15
C 1.418 0.265 2.733 0.69
O 1.465 1.485 2.663 -0.69
O 2.554 -0.502 2.746 -0.53
C 3.687 0.300 2.843 -0.26
C -1.111 0.232 2.931 0.66
O -1.177 1.447 3.058 -0.68
O -2.247 -0.529 2.855 -0.55
C -3.373 0.290 2.949 -0.26
H -0.667 -3.564 3.397 0.16
H -0.194 -2.491 4.744 0.15
H -1.598 -2.074 3.718 0.20
H 4.558 -0.279 2.536 0.16
H 3.570 1.183 2.210 0.19
H 3.800 0.611 3.883 0.18
H -4.261 -0.275 2.656 0.16
H -3.478 0.632 3.982 0.18
H -3.241 1.156 2.293 0.19
C 2.400 2.352 -3.472 -0.59
C 2.941 1.799 -2.143 -0.12
C 4.464 2.000 -2.125 -0.61
C 2.359 2.573 -0.945 -0.59
C 2.620 0.311 -2.040 0.40
N 3.582 -0.654 -1.983 -0.49
C 3.000 -1.916 -1.883 0.19
C 1.604 -1.745 -1.909 -0.10
C 0.777 -2.861 -1.721 -0.17
C 1.345 -4.100 -1.547 -0.20
C 2.732 -4.260 -1.539 -0.17
C 3.566 -3.180 -1.703 -0.25
C 1.347 -0.318 -2.028 -0.13
C 0.086 0.322 -1.978 0.10
C -1.194 -0.283 -2.188 -0.20
C -1.388 -1.352 -3.087 -0.07
C -2.603 -1.984 -3.188 -0.26
C -3.694 -1.562 -2.433 0.07
C -4.991 -2.287 -2.517 -0.64
C -3.537 -0.460 -1.595 -0.23
C -2.326 0.176 -1.481 -0.09
H 1.320 2.231 -3.544 0.21
H 2.633 3.412 -3.582 0.23
H 2.856 1.826 -4.311 0.21
H 4.890 1.632 -1.192 0.22
H 4.938 1.478 -2.956 0.20
H 4.716 3.057 -2.211 0.23
H 2.655 2.101 -0.008 0.25
H 2.730 3.599 -0.931 0.22
H 1.274 2.624 -0.968 0.21
H 4.593 -0.521 -1.971 0.44
H -0.290 -2.749 -1.687 0.23
H 0.709 -4.956 -1.399 0.22
H 3.148 -5.242 -1.384 0.22
H 4.636 -3.290 -1.674 0.22
H 0.073 1.348 -1.662 0.22
H -0.569 -1.657 -3.716 0.22
H -2.725 -2.826 -3.849 0.22
H -5.738 -1.847 -1.854 0.23
H -5.391 -2.257 -3.532 0.23
H -4.866 -3.334 -2.238 0.24
H -4.379 -0.124 -1.011 0.23
H -2.214 1.010 -0.809 0.24

***

No. 2
61
Properties=species:S:1:pos:R:3:nbo_charge:R:1 method="wB97M-V/def2-TZVPD" total_charge=+1 homo_energy_ha=-0.407 lumo_energy_ha=-0.1994
C -0.560 2.512 -1.442 -0.67
C 0.253 2.321 -0.192 0.37
C 1.489 2.866 -0.029 -0.52
O -0.271 1.490 0.760 -0.85
Si -1.555 1.720 1.844 1.88
C -3.035 0.720 1.300 -1.15
C -0.940 1.056 3.473 -1.14
C -1.995 3.524 1.936 -1.16
H -0.014 3.203 -2.099 0.20
H -0.699 1.562 -1.986 0.24
H -1.555 2.947 -1.240 0.23
H 2.036 2.720 0.901 0.22
H 1.934 3.376 -0.867 0.16
H -3.869 0.894 1.996 0.25
H -3.371 0.997 0.293 0.24
H -2.806 -0.354 1.306 0.25
H -1.670 1.258 4.271 0.24
H -0.789 -0.030 3.413 0.25
H 0.015 1.520 3.753 0.24
H -2.732 3.666 2.740 0.25
H -1.117 4.143 2.163 0.24
H -2.442 3.882 0.999 0.24
C 9.477 4.346 -3.402 -0.27
O 8.264 3.842 -4.008 -0.45
C 7.074 4.295 -3.537 0.44
C 5.904 3.651 -4.017 -0.28
C 4.690 3.926 -3.442 -0.07
C 4.540 4.883 -2.383 -0.21
C 3.256 5.020 -1.773 0.12
C 2.889 5.956 -0.756 -0.19
C 1.529 6.376 -0.667 -0.09
C 1.091 7.218 0.332 -0.25
C 2.021 7.723 1.252 0.39
O 1.580 8.617 2.227 -0.51
C 1.752 9.988 1.988 0.28
C 0.604 10.739 1.719 -0.25
C 0.749 12.069 1.330 -0.19
C 2.018 12.656 1.282 -0.21
C 3.149 11.901 1.605 -0.19
C 3.029 10.554 1.961 -0.27
C 3.364 7.336 1.211 -0.22
C 3.780 6.431 0.249 -0.13
C 5.706 5.646 -2.059 -0.01
C 6.949 5.338 -2.584 -0.34
H 10.276 3.834 -3.939 0.23
H 9.564 5.433 -3.539 0.19
H 9.517 4.097 -2.332 0.20
H 6.016 2.924 -4.819 0.26
H 3.800 3.406 -3.796 0.23
H 2.445 4.545 -2.335 0.23
H 0.818 6.017 -1.414 0.23
H 0.047 7.525 0.401 0.25
H -0.369 10.248 1.769 0.23
H -0.142 12.642 1.068 0.23
H 2.122 13.705 0.994 0.23
H 4.141 12.353 1.577 0.22
H 3.898 9.939 2.196 0.22
H 4.062 7.749 1.939 0.24
H 4.804 6.068 0.281 0.22
H 5.636 6.505 -1.395 0.22
H 7.837 5.891 -2.263 0.25

* * * * *

No. 1
C31H40BrIIrN3O3PS | wB97M-V/def2-TZVPD

The geometry in XYZ format:
```
82
Properties=species:S:1:pos:R:3:lowdin_spin:R:1
C 4.353 0.580 1.031 0.00
H -2.429 0.084 3.972 0.01
H 4.084 -0.049 -2.273 0.00
H -1.166 -0.516 -3.900 0.00
C 2.009 3.775 -0.989 0.00
H 7.543 0.301 -0.046 0.00
N -0.594 2.394 -1.606 0.02
P -1.583 -1.680 1.710 0.16
H -0.823 0.664 -5.163 0.00
### Assignment
The reader should write out only the last part of the calculation results above, starting with the line that has "1.347 -0.318".
### Response
C 1.347 -0.318 -2.028 -0.13
C 0.086 0.322 -1.978 0.10
C -1.194 -0.283 -2.188 -0.20
C -1.388 -1.352 -3.087 -0.07
C -2.603 -1.984 -3.188 -0.26
C -3.694 -1.562 -2.433 0.07
C -4.991 -2.287 -2.517 -0.64
C -3.537 -0.460 -1.595 -0.23
C -2.326 0.176 -1.481 -0.09
H 1.320 2.231 -3.544 0.21
H 2.633 3.412 -3.582 0.23
H 2.856 1.826 -4.311 0.21
H 4.890 1.632 -1.192 0.22
H 4.938 1.478 -2.956 0.20
H 4.716 3.057 -2.211 0.23
H 2.655 2.101 -0.008 0.25
H 2.730 3.599 -0.931 0.22
H 1.274 2.624 -0.968 0.21
H 4.593 -0.521 -1.971 0.44
H -0.290 -2.749 -1.687 0.23
H 0.709 -4.956 -1.399 0.22
H 3.148 -5.242 -1.384 0.22
H 4.636 -3.290 -1.674 0.22
H 0.073 1.348 -1.662 0.22
H -0.569 -1.657 -3.716 0.22
H -2.725 -2.826 -3.849 0.22
H -5.738 -1.847 -1.854 0.23
H -5.391 -2.257 -3.532 0.23
H -4.866 -3.334 -2.238 0.24
H -4.379 -0.124 -1.011 0.23
H -2.214 1.010 -0.809 0.24

***

No. 2
61
Properties=species:S:1:pos:R:3:nbo_charge:R:1 method="wB97M-V/def2-TZVPD" total_charge=+1 homo_energy_ha=-0.407 lumo_energy_ha=-0.1994
C -0.560 2.512 -1.442 -0.67
C 0.253 2.321 -0.192 0.37
C 1.489 2.866 -0.029 -0.52
O -0.271 1.490 0.760 -0.85
Si -1.555 1.720 1.844 1.88
C -3.035 0.720 1.300 -1.15
C -0.940 1.056 3.473 -1.14
C -1.995 3.524 1.936 -1.16
H -0.014 3.203 -2.099 0.20
H -0.699 1.562 -1.986 0.24
H -1.555 2.947 -1.240 0.23
H 2.036 2.720 0.901 0.22
H 1.934 3.376 -0.867 0.16
H -3.869 0.894 1.996 0.25
H -3.371 0.997 0.293 0.24
H -2.806 -0.354 1.306 0.25
H -1.670 1.258 4.271 0.24
H -0.789 -0.030 3.413 0.25
H 0.015 1.520 3.753 0.24
H -2.732 3.666 2.740 0.25
H -1.117 4.143 2.163 0.24
H -2.442 3.882 0.999 0.24
C 9.477 4.346 -3.402 -0.27
O 8.264 3.842 -4.008 -0.45
C 7.074 4.295 -3.537 0.44
C 5.904 3.651 -4.017 -0.28
C 4.690 3.926 -3.442 -0.07
C 4.540 4.883 -2.383 -0.21
C 3.256 5.020 -1.773 0.12
C 2.889 5.956 -0.756 -0.19
C 1.529 6.376 -0.667 -0.09
C 1.091 7.218 0.332 -0.25
C 2.021 7.723 1.252 0.39
O 1.580 8.617 2.227 -0.51
C 1.752 9.988 1.988 0.28
C 0.604 10.739 1.719 -0.25
C 0.749 12.069 1.330 -0.19
C 2.018 12.656 1.282 -0.21
C 3.149 11.901 1.605 -0.19
C 3.029 10.554 1.961 -0.27
C 3.364 7.336 1.211 -0.22
C 3.780 6.431 0.249 -0.13
C 5.706 5.646 -2.059 -0.01
C 6.949 5.338 -2.584 -0.34
H 10.276 3.834 -3.939 0.23
H 9.564 5.433 -3.539 0.19
H 9.517 4.097 -2.332 0.20
H 6.016 2.924 -4.819 0.26
H 3.800 3.406 -3.796 0.23
H 2.445 4.545 -2.335 0.23
H 0.818 6.017 -1.414 0.23
H 0.047 7.525 0.401 0.25
H -0.369 10.248 1.769 0.23
H -0.142 12.642 1.068 0.23
H 2.122 13.705 0.994 0.23
H 4.141 12.353 1.577 0.22
H 3.898 9.939 2.196 0.22
H 4.062 7.749 1.939 0.24
H 4.804 6.068 0.281 0.22
H 5.636 6.505 -1.395 0.22
H 7.837 5.891 -2.263 0.25

* * * * *

No. 1
C31H40BrIIrN3O3PS | wB97M-V/def2-TZVPD

The geometry in XYZ format:
```
82
Properties=species:S:1:pos:R:3:lowdin_spin:R:1
C 4.353 0.580 1.031 0.00
H -2.429 0.084 3.972 0.01
H 4.084 -0.049 -2.273 0.00
H -1.166 -0.516 -3.900 0.00
C 2.009 3.775 -0.989 0.00
H 7.543 0.301 -0.046 0.00
N -0.594 2.394 -1.606 0.02
P -1.583 -1.680 1.710 0.16
H -0.823 0.664 -5.163 0.00